• Excerpt:
<<<
Entry 1:
# C6H7O6Sc

A structure of composition C6H7O6Sc (ωB97M-V/def2-TZVPD, OMol25).

```
20
Properties=species:S:1:pos:R:3:forces:R:3:lowdin_spin:R:1
O 3.407 1.958 -0.542 3.2 -0.1 -0.7 0.004
C 2.671 1.372 0.304 -6.4 0.9 -0.6 0.006
O 2.748 0.009 0.131 -0.7 -1.3 1.3 0.010
O 1.601 1.725 0.826 3.5 1.1 -0.2 -0.001
Sc 4.514 0.301 -1.284 -1.7 1.3 1.1 0.981
C 1.367 -0.541 0.736 0.9 -3.5 0.2 0.000
C 0.353 -0.788 -0.372 0.6 0.6 -0.6 0.000
C -0.899 -1.419 0.151 -0.3 -0.2 0.4 0.000
C -2.143 -1.065 -0.159 0.1 0.3 -0.2 0.000
O -2.411 -0.055 -1.080 0.6 -1.3 -0.1 0.000
C -2.816 1.164 -0.693 -1.1 1.6 -1.0 0.000
O -3.275 1.941 -1.485 0.6 -0.8 0.7 0.000
O -2.685 1.453 0.592 0.2 0.0 0.8 0.000
H 0.914 -0.168 1.660 0.8 1.1 -0.6 0.000
H 1.785 -1.490 1.095 -0.2 -0.2 -0.4 0.000
H 0.802 -1.459 -1.123 -0.1 0.1 0.2 0.000
H 0.125 0.154 -0.886 -0.1 -0.2 0.1 0.000
H -0.803 -2.276 0.824 0.0 0.2 -0.2 0.000
H -3.031 -1.578 0.214 0.3 0.1 -0.1 0.000
H -2.224 0.761 1.091 -0.1 0.1 -0.1 0.000
```
Forces are in eV/Å.

Output
LUMO level (alpha / beta), eV: -6.3 / -6.4
Gap between HOMO and LUMO (alpha / beta), Eh: 0.2398 / 0.2366
Multiplicity: 2
Charge: +1


Entry 2:
# C6H8

The ion C6H8 with charge -1 (ωB97M-V/def2-TZVPD, OMol25).

```
14
Properties=species:S:1:pos:R:3:forces:R:3:lowdin_spin:R:1
C -0.204 -1.374 0.041 -1.5 -0.3 -0.5 0.055
C 0.865 -2.092 -0.364 0.9 0.1 0.0 0.133
C 0.919 0.326 1.249 2.1 3.7 1.0 0.298
C -0.185 -0.062 0.592 -1.6 -0.6 -2.8 0.142
C -1.114 0.858 -0.191 0.9 -2.0 1.2 0.073
C -0.879 2.144 -0.547 1.9 -1.8 1.6 0.160
H -1.251 -1.757 -0.114 1.0 -0.2 -0.1 0.004
H 0.599 -3.073 -0.699 0.5 -0.6 -0.5 0.013
H 1.941 -1.711 -0.460 -1.8 -0.6 0.5 0.018
H 0.743 1.434 1.258 1.5 -0.4 0.9 0.023
H 1.993 -0.051 1.353 -2.1 0.1 -0.2 0.040
H -1.965 0.322 -0.650 0.1 0.3 0.5 0.003
H -1.617 2.560 -1.129 -1.0 1.6 -1.4 0.017
H 0.154 2.473 -0.339 -0.9 0.7 -0.3 0.023
```
Forces are in eV/Å.

Output
LUMO level (alpha / beta), eV: 4.6 / 4.5
Gap between HOMO and LUMO (alpha / beta), Eh: 0.1704 / 0.2823
Multiplicity: 2
Charge: -1

* * * * *

Record 1
>>>
• What to do:
Please find the line earlier on that holds "-1.3 -0.1", then repeat that line and all lines after it there.
• Done:
O -2.411 -0.055 -1.080 0.6 -1.3 -0.1 0.000
C -2.816 1.164 -0.693 -1.1 1.6 -1.0 0.000
O -3.275 1.941 -1.485 0.6 -0.8 0.7 0.000
O -2.685 1.453 0.592 0.2 0.0 0.8 0.000
H 0.914 -0.168 1.660 0.8 1.1 -0.6 0.000
H 1.785 -1.490 1.095 -0.2 -0.2 -0.4 0.000
H 0.802 -1.459 -1.123 -0.1 0.1 0.2 0.000
H 0.125 0.154 -0.886 -0.1 -0.2 0.1 0.000
H -0.803 -2.276 0.824 0.0 0.2 -0.2 0.000
H -3.031 -1.578 0.214 0.3 0.1 -0.1 0.000
H -2.224 0.761 1.091 -0.1 0.1 -0.1 0.000
```
Forces are in eV/Å.

Output
LUMO level (alpha / beta), eV: -6.3 / -6.4
Gap between HOMO and LUMO (alpha / beta), Eh: 0.2398 / 0.2366
Multiplicity: 2
Charge: +1


Entry 2:
# C6H8

The ion C6H8 with charge -1 (ωB97M-V/def2-TZVPD, OMol25).

```
14
Properties=species:S:1:pos:R:3:forces:R:3:lowdin_spin:R:1
C -0.204 -1.374 0.041 -1.5 -0.3 -0.5 0.055
C 0.865 -2.092 -0.364 0.9 0.1 0.0 0.133
C 0.919 0.326 1.249 2.1 3.7 1.0 0.298
C -0.185 -0.062 0.592 -1.6 -0.6 -2.8 0.142
C -1.114 0.858 -0.191 0.9 -2.0 1.2 0.073
C -0.879 2.144 -0.547 1.9 -1.8 1.6 0.160
H -1.251 -1.757 -0.114 1.0 -0.2 -0.1 0.004
H 0.599 -3.073 -0.699 0.5 -0.6 -0.5 0.013
H 1.941 -1.711 -0.460 -1.8 -0.6 0.5 0.018
H 0.743 1.434 1.258 1.5 -0.4 0.9 0.023
H 1.993 -0.051 1.353 -2.1 0.1 -0.2 0.040
H -1.965 0.322 -0.650 0.1 0.3 0.5 0.003
H -1.617 2.560 -1.129 -1.0 1.6 -1.4 0.017
H 0.154 2.473 -0.339 -0.9 0.7 -0.3 0.023
```
Forces are in eV/Å.

Output
LUMO level (alpha / beta), eV: 4.6 / 4.5
Gap between HOMO and LUMO (alpha / beta), Eh: 0.1704 / 0.2823
Multiplicity: 2
Charge: -1

* * * * *

Record 1